Biography of Frank B. DeVine

No history of Riverside purporting to record her growth and prosperity can lay claim to real value and interest that does not award the merit to her mercantile enterprises, and the men who have conducted them. Most prominent in this record would be the names of Boyd & DeVine, commission merchants and jobbers, whose establishment is located on the corner of Eighth Street and Pachappa Avenue. This is one of the most important wholesale and commission houses in the city, dealing extensively in groceries, grain, honey, etc. They are also large fruit and raisin packers, placing their products on the … Read more

Biography of Barnabas Tibbals

Barnabas Tibbals, owner of a fine orange grove in Brockton Square, on the south side of Bandini Avenue, about two miles south of Riverside, purchased this place in August, 1887 and immediately commenced his horticultural pursuits. At this writing his land, consisting of ten acres, is all in orange trees, except a few deciduous trees and table grapes. About one-half of his trees are seedlings, and the rest Washington Navels. He has spent much labor in pruning, fertilizing and cultivating, since buying the place, and has now a very productive grove. The improvements on the place consist of a commodious … Read more

Biography of William Finch

Among the prominent and well-known horticulturists of Riverside is the subject of this sketch. A brief resume of his life is as follows: Mr. Finch dates his birth in Rensselaer County, New York, in 1821. He was reared and schooled at his native place near the city of Albany, and followed the occupation of his father, which was that of a farmer. His parents, Cyrenius and Minerva (North) Finch, were both natives of New York. In 1850 Mr. Finch started for the great West, and was among the pioneer settlers of Minnesota. He first located in Ramsay County; thence went … Read more

Biography of Samuel C. Evans

Samuel C. Evans, one of the most prominent men of Riverside, and who has spent over fifteen years of an active business life in conducting some of the largest business enterprises in the colony, one of which is the Riverside Land and Irrigation Company, came to Riverside in 1874 and purchased a half interest in nearly 10,000 acres of land, known as the Hartshorn tract; the land is now known as the Arlington part of Riverside and Arlington Heights. Captain W. T. Sayward, of San Francisco, was the owner of the other half. These gentlemen in the same year commenced … Read more

Biography of Edwin Hart

Among the leading horticulturists of Riverside colony none are more deserving of mention than the subject of this sketch. Mr. Hart is a native of Cortland County, New York, born in 1835, and reared and received his education in his native place. At the age of eighteen years he started for the great West, and located in Beloit, Wisconsin. His boyhood days, when not attending school, were spent in his father’s store, and was somewhat schooled in mercantile life, but upon his advent in Wisconsin he engaged in farming. He spent eight years in that State, and in 1862 moved … Read more

Biographical Sketch of Harvey Hewitt

Harvey Hewitt, residing three miles northwest of Redlands, was born in Cleveland, Ohio, in 1859. His father, Isaac L. Hewitt, was a native of New York, and for fifteen years was senior member of the firm of Hewitt & Schofield, petroleum commission. At one time he owned a line of steamers on Lake Erie. He is now retired from active life. He had five children, the subject of our sketch being the fourth. He was educated at the Polytechnic Institute at Brooklyn, New York. He was connected with the Chicago, Milwaukee & St. Paul Railroad, on the engineer corps, for … Read more

Biographical Sketch of H. H. Sinclair

H. H. Sinclair, Redlands, was born in Brooklyn, New York, in 1858. He attended the public schools of that city, and afterward went to Cornell University, and was a member of the class of 1880. Subsequent to this he practiced law in New York City for two years. Then he engaged in the shipping business for a while. His health failing he came to California, and has since given his attention to his fine orange orchard in Lugonia. He is a member of the city council of Redlands, and was a member of the first board. He is also a … Read more

Biographical Sketch of M. E. Button

M. E. Button, a rancher near San Bernardino, was born in Onondaga County, New York, and moved to Ohio when he was twenty-three years old and engaged in farming. There, in 1834, he was married to Miss Mary Bittles, also from York State, the daughter of Thomas and Ann (Spence) Bittles, both natives of Ireland. They had six children, and moved to Geauga County, Ohio, when Mary was seventeen years of age, where he engaged in farming until his death, which occurred in 1889. Mr. Button lived two years at Salt Lake, where he stopped on his way to the … Read more

Biography of William A. Hayt

There is no man more deserving of mention among the representative citizens of Riverside than the gentleman whose name heads this sketch; nor is there a man in the community who has done more to promote the growth of the city than he. He is always alive to its interests, and his name is generally the first among the subscribers to any enterprise that is conducive to the welfare and prosperity of the community. Such facts as have been gathered regarding his life are of interest. Mr. Hayt was born in Putnam County, New York, in 1832. His father, Harry … Read more

Biography Of Alden C. Hillman, A. M.

Alden C. Hillman, A. M. One of the venerable educators of Kansas was Alden C. Hillman, of Salina, whose death occurred on the 24th of January, 1917. Mr. Hillman was the first man selected for a position in the faculty of the Kansas Wesleyan University. He began his work as an educator before the war, was very prominent in the State of Illinois in school work for many years, and for more than thirty years was a resident of Kansas. He was born May 23, 1832, at Charleston, New York, a son of Ezra and Permelia (Horton) Hillman. Both parents … Read more

Biography Of Harvey W. Ide

Harvey W. Ide was one of the men who bore a conspicuous part in the early history of that section of Kansas around Leavenworth. He arrived when Kansas was a territory, and at the height of the epoch-making struggle over the slavery question. He was long distinguished as a lawyer, for many years was judge of the district bench, and a leader possessing not only brilliant intellectual qualities but that moral stability which is the expression of a strong character. He was born in Saratoga County, New York, April 19, 1833, and fourteen years later, in 1847, his father, Rodman … Read more

Biography of Amos W. Bemis

Amos W. Bemis, living two and one-half miles west of San Bernardino, on Fifth Street, is one of the early and successful pioneers of this county. He was born in Jefferson County, New York, and is a son of Alvin Bemis, who with his family removed to Ohio when Amos was eight years of age. In 1844 he removed to Lee County, Iowa, where he died in 1847. The family lived in Lee County three years after Mr. Bemis’ death, and in 1851 the mother, seven sons and three daughters, started for California. Amos being the eldest the others naturally … Read more

Biography of Job W. Massey

Job W. Massey, farming and stock; P. O. Charleston; the subject of this sketch was born in Cheshire, England, June 28, 1822. He married Miss Sarah Gould Dec. 4, 1847; she was born in North Molton, Devonshire, England, Feb. 23, 1827, and died Aug. 8, 1877. They had six children, viz., William H., now living; Job Francis died at the age of 17, child died in infancy, Nannie now living, George E. died at 18 months of age and Joseph Charles died in his 18th year, from the kick of a horse. He lived in England about six years, when, … Read more

Biography of John Henry Stewart

John Henry Stewart, one of the most prominent citizens of San Bernardino, was born of Scotch parents in Williamstown, Massachusetts, April 28, 1823. His father, Samuel Stewart, removed his family to Oswego County, New York, when John Henry was but two years old, and his childhood and youth were passed there. At an early age he learned the trade of house carpentering and joining, which he followed for many years. Being the oldest in a family of eight children and his father not enjoying good health, a large share of the support of the family fell on his shoulders,-a burden … Read more

Biographical Sketch of Reuben J. Anderson

Reuben J. Anderson was born in Smithfield, Madison County, New York; he passed his youth and early manhood like most boys, and in the spring of 1853 came by water to California. He landed at San Francisco May 5, 1853, and followed mining for three years. He subsequently purchased 160 acres of land five miles from San Jose, and here farmed for two years. He then sold out and bought a place a mile west of Haywards, and remained on it until 1856, when he removed to San Bernardino County. He bought land near town, on which he kept stock. … Read more

Biography of George H. Crafts

**What comes next are crystal structures, not part of the article**
1.
The following is a DFT calculation (GGA-PBE) of an optimized crystal structure of LiGe5W3.

```
LiGe5W3
1.0
5.327 0.000 0.000
-2.663 4.613 0.000
0.000 0.000 7.749
Ge Li W
5 1 3
Cartesian
2.663 1.538 1.614
0.000 3.075 1.614
0.000 0.000 3.874
2.663 1.538 6.135
0.000 3.075 6.135
0.000 0.000 0.000
2.663 0.000 3.874
-1.332 2.307 3.874
1.332 2.307 3.874
```

The total energy comes out at -61.38 eV for the cell shown. As for the density: 8.0 g/cm3. Its space group is P6/mmm.



2.
The following is a DFT calculation (GGA-PBE) of an optimized crystal structure of PrCoCu2As4.

```
PrCoCu2As4
1.0
-2.713 -2.872 0.124
1.358 -1.431 -3.425
5.797 -5.282 4.504
As Co Cu Pr
4 1 2 1
Cartesian
-1.059 -1.707 0.293
0.977 -0.987 -1.481
1.116 -3.786 -0.257
3.785 -3.448 2.941
1.223 -1.115 0.951
1.402 -3.949 2.205
3.437 -3.229 0.431
3.799 -6.230 1.828
```

The total energy comes out at -39.98 eV for the cell shown. As for the density: 7.4 g/cm3. Its space group is P4mm.

George H. Crafts, a rancher near Redlands, was born in New York City in 1844, and came to California with his father in 1861. His father, Myron H. Crafts, was born in Whately, Massachusetts, in 1816, and established the first temperance grocery in New York City. He also had a large meat-curing house there, but was burnt out in 1844, and then went to Jackson, Michigan, where he started a soap and candle factory. He next went to Windsor, where he farmed for a while, and then went to Detroit and accepted a position as cashier in C. & A. … Read more

Biographical Sketch of R. B. F. Watrons

R. B. F. Watrons. – No man in Redlands is more worthy of mention in a work of this kind than is B. F. Watrons, M. D. He came to Redlands with $350, with which he bought a team and went to work. He had previously contracted for ten acres of land for $1,000, and had paid $250 down. He began improving it the second year and put up a $400 house. He afterward bought ten acres more for $1,500 and borrowed money for the first payment. In five years he had bought and paid for thirty-one acres in Redlands … Read more

Biographical Sketch of Rev. Charles A. Kingsbury

Rev. Charles A. Kingsbury, of Redlands, was born in Newton, Massachusetts, in 1839, the third of a family of five children. His father, Isaac Kingsbury, was a market gardener for a period of fifty years. The subject of this sketch was educated at Williams College, and also graduated at the Union Theological Seminary, in New York City, in 1867. After his graduation he filled two pastorates in the Congregational Church. In 1875 he married Miss Mary Augusta Donaldson, a native of New York City. They have one son: Homer Penfield Donaldson Kingsbury. Mr. Kingsbury came to California in 1889 on … Read more

Biography of Isaac Newton Hoag

Isaac Newton Hoag, a prominent citizen of Redlands, was born in Macedon, Wayne County, New York, March 3, 1822. His paternal ancestors belonged to the Society of Friends for generations back, and had uniformly been farmers. He lived and worked on a farm until he was eighteen years of age and had the advantages of a very primitive common school education. His father died when he was eighteen years of age, and one year later the Macedon Academy was organized, and Isaac was one of the first students at this institution. From this time until 1849 he taught school winters … Read more

Biography of George Lord

George Lord, President of the Society of California Pioneers of San Bernardino County, and a representative of the best type of “Forty-niners,” is a native of New York City, and was born June 27, 1800, and consequently was eighty-nine years old his last birthday. His father, George Lord, was a sea captain, who died of yellow fever at quarantine in New York harbor, having contracted the disease in the West Indies, whence his vessel had just returned. The subject of this memoir being left self-dependent went to enlist in mercentile pursuits. Stopping for a time in Louisville, Kentucky, he was … Read more